_Input_
'''
No. 1
Computed XRD peak list of LiCrIr for CuKα, from a cell relaxed with PBE.

Structural model:
```
data_LiCrIr
_cell_length_a 7.081
_cell_length_b 6.869
_cell_length_c 2.611
_cell_angle_alpha 83.83
_cell_angle_beta 74.67
_cell_angle_gamma 21.51
_symmetry_space_group_name_H-M 'P 1'
_symmetry_Int_Tables_number 1
loop_
_symmetry_equiv_pos_as_xyz
'x,y,z'
loop_
_atom_site_label
_atom_site_type_symbol
_atom_site_fract_x
_atom_site_fract_y
_atom_site_fract_z
Li1 Li 0.000 0.000 0.000
Cr1 Cr 0.676 0.676 0.324
Ir1 Ir 0.331 0.331 0.669
```

Top 10 peaks for 2θ from 15° to 90°, low angle first:
2θ/deg, intensity
26.50, 34
38.87, 59
40.22, 30
40.81, 30
43.06, 25
43.45, 100
51.62, 34
58.63, 20
75.33, 18
76.13, 19

***

No. 2
Computed XRD peak list of Mg2CrIr for CuKα, from a cell relaxed with PBE.

Structural model:
```
data_Mg2CrIr
_cell_length_a 4.020
_cell_length_b 4.020
_cell_length_c 4.049
_cell_angle_alpha 90.00
_cell_angle_beta 90.00
_cell_angle_gamma 90.00
_symmetry_space_group_name_H-M 'P 1'
_symmetry_Int_Tables_number 1
loop_
_symmetry_equiv_pos_as_xyz
'x,y,z'
loop_
_atom_site_label
_atom_site_type_symbol
_atom_site_fract_x
_atom_site_fract_y
_atom_site_fract_z
Mg1 Mg 0.000 0.500 0.000
Mg2 Mg 0.500 0.000 0.000
Cr1 Cr 0.000 0.000 0.500
Ir1 Ir 0.500 0.500 0.500
```

Top 10 peaks for 2θ from 15° to 90°, low angle first:
2θ/deg, intensity
21.95, 45
22.11, 43
31.36, 37
31.47, 37
38.70, 100
44.77, 16
45.11, 32
50.73, 30
65.43, 21
78.93, 24

***

No. 3
Computed XRD peak list of Mg2CrIr for CuKα, from a cell relaxed with PBE.

Structural model:
```
data_Mg2CrIr
_cell_length_a 5.349
_cell_length_b 5.349
_cell_length_c 4.742
_cell_angle_alpha 113.41
_cell_angle_beta 113.41
_cell_angle_gamma 32.63
_symmetry_space_group_name_H-M 'P 1'
_symmetry_Int_Tables_number 1
loop_
_symmetry_equiv_pos_as_xyz
'x,y,z'
loop_
_atom_site_label
_atom_site_type_symbol
_atom_site_fract_x
_atom_site_fract_y
_atom_site_fract_z
Mg1 Mg 0.000 0.000 0.000
Mg2 Mg 0.220 0.220 0.640
Cr1 Cr 0.768 0.768 0.182
Ir1 Ir 0.476 0.476 0.496
```

Top 10 peaks for 2θ from 15° to 90°, low angle first:
2θ/deg, intensity
18.99, 69
20.58, 75
21.48, 100
31.26, 47
35.35, 50
38.00, 39
38.53, 43
39.95, 90
40.94, 71
41.78, 58

***

No. 4
Computed XRD peak list of MnCr3Ir12 for CuKα, from a cell relaxed with PBE.

Structural model:
```
data_MnCr3Ir12
_cell_length_a 3.822
_cell_length_b 3.822
_cell_length_c 15.326
_cell_angle_alpha 90.00
_cell_angle_beta 90.00
_cell_angle_gamma 90.00
_symmetry_space_group_name_H-M 'P 1'
_symmetry_Int_Tables_number 1
loop_
_symmetry_equiv_pos_as_xyz
'x,y,z'
loop_
_atom_site_label
_atom_site_type_symbol
_atom_site_fract_x
_atom_site_fract_y
_atom_site_fract_z
Mn1 Mn 0.000 0.000 0.000
Cr1 Cr 0.000 0.000 0.248
Cr2 Cr 0.000 0.000 0.500
Cr3 Cr 0.000 0.000 0.752
Ir1 Ir 0.000 0.500 0.127
Ir2 Ir 0.000 0.500 0.376
Ir3 Ir 0.000 0.500 0.624
Ir4 Ir 0.000 0.500 0.873
Ir5 Ir 0.500 0.000 0.127
Ir6 Ir 0.500 0.000 0.376
Ir7 Ir 0.500 0.000 0.624
Ir8 Ir 0.500 0.000 0.873
Ir9 Ir 0.500 0.500 0.000
Ir10 Ir 0.500 0.500 0.251
Ir11 Ir 0.500 0.500 0.500
Ir12 Ir 0.500 0.500 0.749
```

Top 10 peaks for 2θ from 15° to 90°, low angle first:
2θ/deg, intensity
23.26, 15
33.12, 12
40.86, 100
47.46, 16
47.59, 32
69.48, 21
69.58, 10
83.77, 13
83.96, 25
88.57, 11

***

No. 5
Computed XRD peak list of MnCr5Ir6 for CuKα, from a cell relaxed with PBE.

Structural model:
```
data_MnCr5Ir6
_cell_length_a 7.057
_cell_length_b 7.057
_cell_length_c 7.057
_cell_angle_alpha 148.84
_cell_angle_beta 116.76
_cell_angle_gamma 72.18
_symmetry_space_group_name_H-M 'P 1'
_symmetry_Int_Tables_number 1
loop_
_symmetry_equiv_pos_as_xyz
'x,y,z'
loop_
_atom_site_label
_atom_site_type_symbol
_atom_site_fract_x
_atom_site_fract_y
_atom_site_fract_z
Mn1 Mn 0.000 0.000 0.000
Cr1 Cr 0.169 0.669 0.500
Cr2 Cr 0.335 0.335 0.000
Cr3 Cr 0.500 0.000 0.500
Cr4 Cr 0.665 0.665 0.000
Cr5 Cr 0.831 0.331 0.500
Ir1 Ir 0.084 0.833 0.251
Ir2 Ir 0.253 0.500 0.753
Ir3 Ir 0.417 0.167 0.251
Ir4 Ir 0.583 0.833 0.749
'''

_Job_
Your job: copy all of the notes further above exactly.

_Outcome_
No. 1
Computed XRD peak list of LiCrIr for CuKα, from a cell relaxed with PBE.

Structural model:
```
data_LiCrIr
_cell_length_a 7.081
_cell_length_b 6.869
_cell_length_c 2.611
_cell_angle_alpha 83.83
_cell_angle_beta 74.67
_cell_angle_gamma 21.51
_symmetry_space_group_name_H-M 'P 1'
_symmetry_Int_Tables_number 1
loop_
_symmetry_equiv_pos_as_xyz
'x,y,z'
loop_
_atom_site_label
_atom_site_type_symbol
_atom_site_fract_x
_atom_site_fract_y
_atom_site_fract_z
Li1 Li 0.000 0.000 0.000
Cr1 Cr 0.676 0.676 0.324
Ir1 Ir 0.331 0.331 0.669
```

Top 10 peaks for 2θ from 15° to 90°, low angle first:
2θ/deg, intensity
26.50, 34
38.87, 59
40.22, 30
40.81, 30
43.06, 25
43.45, 100
51.62, 34
58.63, 20
75.33, 18
76.13, 19

***

No. 2
Computed XRD peak list of Mg2CrIr for CuKα, from a cell relaxed with PBE.

Structural model:
```
data_Mg2CrIr
_cell_length_a 4.020
_cell_length_b 4.020
_cell_length_c 4.049
_cell_angle_alpha 90.00
_cell_angle_beta 90.00
_cell_angle_gamma 90.00
_symmetry_space_group_name_H-M 'P 1'
_symmetry_Int_Tables_number 1
loop_
_symmetry_equiv_pos_as_xyz
'x,y,z'
loop_
_atom_site_label
_atom_site_type_symbol
_atom_site_fract_x
_atom_site_fract_y
_atom_site_fract_z
Mg1 Mg 0.000 0.500 0.000
Mg2 Mg 0.500 0.000 0.000
Cr1 Cr 0.000 0.000 0.500
Ir1 Ir 0.500 0.500 0.500
```

Top 10 peaks for 2θ from 15° to 90°, low angle first:
2θ/deg, intensity
21.95, 45
22.11, 43
31.36, 37
31.47, 37
38.70, 100
44.77, 16
45.11, 32
50.73, 30
65.43, 21
78.93, 24

***

No. 3
Computed XRD peak list of Mg2CrIr for CuKα, from a cell relaxed with PBE.

Structural model:
```
data_Mg2CrIr
_cell_length_a 5.349
_cell_length_b 5.349
_cell_length_c 4.742
_cell_angle_alpha 113.41
_cell_angle_beta 113.41
_cell_angle_gamma 32.63
_symmetry_space_group_name_H-M 'P 1'
_symmetry_Int_Tables_number 1
loop_
_symmetry_equiv_pos_as_xyz
'x,y,z'
loop_
_atom_site_label
_atom_site_type_symbol
_atom_site_fract_x
_atom_site_fract_y
_atom_site_fract_z
Mg1 Mg 0.000 0.000 0.000
Mg2 Mg 0.220 0.220 0.640
Cr1 Cr 0.768 0.768 0.182
Ir1 Ir 0.476 0.476 0.496
```

Top 10 peaks for 2θ from 15° to 90°, low angle first:
2θ/deg, intensity
18.99, 69
20.58, 75
21.48, 100
31.26, 47
35.35, 50
38.00, 39
38.53, 43
39.95, 90
40.94, 71
41.78, 58

***

No. 4
Computed XRD peak list of MnCr3Ir12 for CuKα, from a cell relaxed with PBE.

Structural model:
```
data_MnCr3Ir12
_cell_length_a 3.822
_cell_length_b 3.822
_cell_length_c 15.326
_cell_angle_alpha 90.00
_cell_angle_beta 90.00
_cell_angle_gamma 90.00
_symmetry_space_group_name_H-M 'P 1'
_symmetry_Int_Tables_number 1
loop_
_symmetry_equiv_pos_as_xyz
'x,y,z'
loop_
_atom_site_label
_atom_site_type_symbol
_atom_site_fract_x
_atom_site_fract_y
_atom_site_fract_z
Mn1 Mn 0.000 0.000 0.000
Cr1 Cr 0.000 0.000 0.248
Cr2 Cr 0.000 0.000 0.500
Cr3 Cr 0.000 0.000 0.752
Ir1 Ir 0.000 0.500 0.127
Ir2 Ir 0.000 0.500 0.376
Ir3 Ir 0.000 0.500 0.624
Ir4 Ir 0.000 0.500 0.873
Ir5 Ir 0.500 0.000 0.127
Ir6 Ir 0.500 0.000 0.376
Ir7 Ir 0.500 0.000 0.624
Ir8 Ir 0.500 0.000 0.873
Ir9 Ir 0.500 0.500 0.000
Ir10 Ir 0.500 0.500 0.251
Ir11 Ir 0.500 0.500 0.500
Ir12 Ir 0.500 0.500 0.749
```

Top 10 peaks for 2θ from 15° to 90°, low angle first:
2θ/deg, intensity
23.26, 15
33.12, 12
40.86, 100
47.46, 16
47.59, 32
69.48, 21
69.58, 10
83.77, 13
83.96, 25
88.57, 11

***

No. 5
Computed XRD peak list of MnCr5Ir6 for CuKα, from a cell relaxed with PBE.

Structural model:
```
data_MnCr5Ir6
_cell_length_a 7.057
_cell_length_b 7.057
_cell_length_c 7.057
_cell_angle_alpha 148.84
_cell_angle_beta 116.76
_cell_angle_gamma 72.18
_symmetry_space_group_name_H-M 'P 1'
_symmetry_Int_Tables_number 1
loop_
_symmetry_equiv_pos_as_xyz
'x,y,z'
loop_
_atom_site_label
_atom_site_type_symbol
_atom_site_fract_x
_atom_site_fract_y
_atom_site_fract_z
Mn1 Mn 0.000 0.000 0.000
Cr1 Cr 0.169 0.669 0.500
Cr2 Cr 0.335 0.335 0.000
Cr3 Cr 0.500 0.000 0.500
Cr4 Cr 0.665 0.665 0.000
Cr5 Cr 0.831 0.331 0.500
Ir1 Ir 0.084 0.833 0.251
Ir2 Ir 0.253 0.500 0.753
Ir3 Ir 0.417 0.167 0.251
Ir4 Ir 0.583 0.833 0.749